Raw Materials, the Global South, and Development in the 21st Century
Mobilizing Rents, Grasping Extractivist Societies
Conference Theme
Extractivism shapes many countries’ economic and social realities in the Global South as more than 100 countries have specialized in the extraction and exportation of different raw materials throughout the decades. This development model is rent-led, as the society becomes dependent on the revenues based on exploiting nature rather than on innovation, investment, diversification, and learning. That means that these countries have their social relations locked by structures created by extractivism, mostly specializing only in generating and appropriating rent. This dynamic has devastating consequences for both the population and the environment. Unfortunately, the vast majority of extractivist societies in the Global South have not escaped from a development trap: how to generate economic growth and transformation without becoming utterly dependent on floating rents and endangering the well-being of its population and the possibilities of a sustainable future. This trap is the initial observation and the starting point for this year’s annual conference.
We part from the idea that extractivist societies have complex and distinct dynamics from those countries and societies that organize their social relations based on profit, labor productivity, or wages. The idea we want to explore in this conference is how and in what ways societies specializing in extracting and exporting raw materials reproduce themselves primarily through the revenues obtained by selling them to the global market. Within a rent-based model, access to and distribution of export revenues is crucial for the political influence of power coalitions and the livelihoods of broader population segments. Understanding the complexities of rent and its effects on people’s lives will be one of the major challenges we will face – as a scholarly community as well as part of global societies.
Rents are prone to crisis. If export prices for raw materials change (as is currently the case in the COVID-19 crisis), this can promote instability within countries’ domestic sphere. Furthermore, extractivism and rents are directly linked with the provocation, escalation, and transmission of international crises, as the 2022 Ukraine-Russia conflict persuasively demonstrates. Finally, socio-ecological transformations and the drive towards sustainability within the Global North open the discussion concerning the price we want to pay for a greener future – as the push for renewable energy can provoke several readjustments or even, counterintuitively, further deepen extractivism in the Global South. In a pessimistic scenario, this translates into recurrent domestic and international crises within a growingly uneven global system in which extractivism as a development model proves to be resilient to change. Conversely, in a more optimistic scenario, this awakens the potential for domestic and international transformations that renovate or even eventually overcome extractivism.
Independently, in both scenarios, rents’ political, economic, and social roles are decisive. Opportunities for channeling and leveraging rents are crucial for accelerating or shielding social change. Focusing our lenses on Latin America and the Middle East, it is noticeable that many powerful actors aimed, one way or another, to channel rents into development. Unfortunately, most of them failed miserably, as demonstrated by the rise and fall of the ‘pink tide’ in Latin America. Others, such as Saudi Arabia and Algeria, have initiated far-reaching state-led programs to transform future social and economic structures, offering, so far, only mixed results. In order to take this discussion further and enable us to compare different cases from the Global South, we first need to grasp how extractivist societies can be conceptualized. What is the appropriate theoretical and methodological toolkit for researching the dynamics of extractivist societies? How can we include the many specific dynamics such as articulation of economic, political, and social structures, the political behavior of power groups, alliances, and coalitions, and the cultural expression, social practices, and habitus?
This conference discusses the leverage of rent in extractivist societies. We aim to reconceptualize the theoretical relationship between extractivism and rents and stimulate deeper analyses concerning the particular and nuanced types of rent-led development trajectories. The goal is to identify different configurations in which rents either dynamize social change or contribute to the resilience of extractivism. It concerns established approaches in Social Sciences (e.g., approaches of neo-extractivism; rentier state and rent theories; foreign trade theories; historical and ethnological findings) but, at the same time, contributes to an ongoing interdisciplinary exchange between the broader field of political economy, and neighboring disciplines such as Political Science, Sociology, Anthropology, and Cultural Studies.
Therefore, the following questions are of particular interest:
- Are there local, national, and area-specific particularities and/or transregional differences of extractivism?
- How are rents and extractivism connected? What are the international and domestic links between rents and extractivism?
- Why is extractivism so persistent in world history? Why did it change, and how did some countries reach to abandon extractivism?
- What role do political, economic, social, and cultural factors play in the change and the persistence of extractivism?
Conference Program
Venue: Golden Tulip Hotel Reiss, Kassel
Wednesday, 12.10.2022, 13-14h
Kai Ruffing (Dean of the Faculty of Social Science, University of Kassel): Extractivist Societies in Historical Perspective
Inserted here: materials data:
[1]
Below is a relaxed Na4Hf2Ge3O12 crystal, with properties calculated at the GGA-PBE level.

Values from the calculation:
Corrected total energy (MP2020 scheme), eV per atom: -7.3724
Energy of formation from the pure elements, eV per atom: -2.684

a b c (Å): 9.3374 9.3374 9.3374
angles (deg): 61.36 61.36 61.36
Last column: nearest neighbours and their distance in Å.
Element x y z (fractional)
O 0.7382 0.0759 0.9388  1 Ge 1.77
O 0.5097 0.2934 0.1369  1 Ge 1.76
O 0.5759 0.2382 0.4388  1 Ge 1.77
O 0.2934 0.1369 0.5097  1 Ge 1.76
O 0.0612 0.2618 0.9241  1 Ge 1.77
O 0.6369 0.7934 0.0097  1 Ge 1.76
O 0.9241 0.0612 0.2618  1 Ge 1.77
O 0.5612 0.4241 0.7618  1 Ge 1.77
O 0.0097 0.6369 0.7934  1 Ge 1.76
O 0.2382 0.4388 0.5759  1 Ge 1.77
O 0.2618 0.9241 0.0612  1 Ge 1.77
O 0.0759 0.9388 0.7382  1 Ge 1.77
O 0.7618 0.5612 0.4241  1 Ge 1.77
O 0.9903 0.3631 0.2066  1 Ge 1.76
O 0.3631 0.2066 0.9903  1 Ge 1.76
O 0.8631 0.4903 0.7066  1 Ge 1.76
O 0.4241 0.7618 0.5612  1 Ge 1.77
O 0.4388 0.5759 0.2382  1 Ge 1.77
O 0.9388 0.7382 0.0759  1 Ge 1.77
O 0.1369 0.5097 0.2934  1 Ge 1.76
O 0.4903 0.7066 0.8631  1 Ge 1.76
O 0.7066 0.8631 0.4903  1 Ge 1.76
O 0.7934 0.0097 0.6369  1 Ge 1.76
O 0.2066 0.9903 0.3631  1 Ge 1.76
Ge 0.4573 0.7500 0.0427  4 O 1.76-1.77
Ge 0.7500 0.0427 0.4573  4 O 1.76-1.77
Ge 0.5427 0.2500 0.9573  4 O 1.76-1.77
Ge 0.2500 0.9573 0.5427  4 O 1.76-1.77
Ge 0.0427 0.4573 0.7500  4 O 1.76-1.77
Ge 0.9573 0.5427 0.2500  4 O 1.76-1.77
Na 0.6292 0.8708 0.2500  6 O 2.55-2.63
Na 0.5000 0.5000 0.5000  6 O 2.47
Na 0.2500 0.6292 0.8708  6 O 2.55-2.63
Na 0.8708 0.2500 0.6292  6 O 2.55-2.63
Na 0.0000 0.0000 0.0000  6 O 2.47
Na 0.3708 0.1292 0.7500  6 O 2.55-2.63
Na 0.7500 0.3708 0.1292  6 O 2.55-2.63
Na 0.1292 0.7500 0.3708  6 O 2.55-2.63
Hf 0.8561 0.8561 0.8561  6 O 2.03-2.13
Hf 0.6439 0.6439 0.6439  6 O 2.03-2.13
Hf 0.3561 0.3561 0.3561  6 O 2.03-2.13
Hf 0.1439 0.1439 0.1439  6 O 2.03-2.13

---

[2]
Below is a relaxed CsCuCl3 crystal, with properties calculated at the GGA-PBE level.

Values from the calculation:
Corrected total energy (MP2020 scheme), eV per atom: -3.5649
Energy of formation from the pure elements, eV per atom: -1.457

a b c (Å): 7.3113 7.3113 6.0305
angles (deg): 90.00 90.00 120.00
Last column: nearest neighbours and their distance in Å.
Element x y z (fractional)
Cl 0.3064 0.1532 0.7753  2 Cu 2.45-2.46
Cl 0.6936 0.8468 0.2753  2 Cu 2.45-2.46
Cl 0.1532 0.8468 0.2753  2 Cu 2.45-2.46
Cl 0.1532 0.3064 0.2753  2 Cu 2.45-2.46
Cl 0.8468 0.6936 0.7753  2 Cu 2.45-2.46
Cl 0.8468 0.1532 0.7753  2 Cu 2.45-2.46
Cu 0.0000 0.0000 0.5238  6 Cl 2.45-2.46
Cu 0.0000 0.0000 0.0238  6 Cl 2.45-2.46
Cs 0.3333 0.6667 0.7552  12 Cl 3.66-3.88
Cs 0.6667 0.3333 0.2552  12 Cl 3.66-3.88

---

[3]
Below is a relaxed KTh2Se6 crystal, with properties calculated at the GGA-PBE level.

Values from the calculation:
Corrected total energy (MP2020 scheme), eV per atom: -5.8958
Energy of formation from the pure elements, eV per atom: -1.794

a b c (Å): 11.7591 11.7591 11.7591
Hans-Jürgen Burchardt (University of Kassel)/Rachid Ouaissa (Philipps-University of Marburg)/Hannes Warnecke-Berger (University of Kassel): Rent, Society, and the Dark Side of Sustainability
Venue: Golden Tulip Hotel Reiss, Kassel
Wednesday, 12.10.2022, 15-17h
Eva Paus (Mount Holyoke College): International Political Economy of Rent and Extractivism
Hannes Warnecke-Berger (University of Kassel): Towards a Surplus Approach of Rent
Dirk Loehr (FH Trier): Land – The Hidden Redistribution Machine
Balihar Sanghera (University of Kent)/Elmira Satybaldieva (University of Kent): Rentier Capitalism and its Countermovements: The Moral Economy Perspective
Chair: Katrin Metzger (University of Kassel); Discussant: Luíza Cerioli (University of Kassel)
Venue: Gießhaus University of Kassel, Central Campus
Wednesday, 12.10.2022, 18-20h
James Mahon (Williams College): Are Extractivist Societies too Rich to Prosper?
Chair: Hans-Jürgen Burchardt (University of Kassel)
Venue: Golden Tulip Hotel Reiss, Kassel
Thursday, 13.10.2022, 9-11h
Fatiha Talahite (CNRS/University of Paris Nanterre): Criticism of Rent Theories and the Coloniality of Extractivism: The case of Algeria
Markus Kröger (University of Helsinki, EXALT): Extractivist Rents, Development and the End of Cheap Commodities
Martin Beck (University of Kurdistan Hewlêr)/Thomas Richter (GIGA Hamburg): State, Class, and Autonomy in Hydrocarbon Societies: A Revival
Unrelated to this piece: data records.
An optimized crystal structure of DyF3, computed with PBE.

Results
calculated formation energy = -4.47 eV/atom
E = -6.71 eV per atom

Lattice parameters (Å, degrees): 6.2351 6.9056 4.7859 90.00 90.00 90.00
Last column: nearest neighbours and their distance in Å.
Element x y z (fractional)
1 Dy 0.1343 0.2500 0.0398  8 F 2.20-2.36
2 Dy 0.3657 0.7500 0.5398  8 F 2.20-2.36
3 Dy 0.6343 0.2500 0.4602  8 F 2.20-2.36
4 Dy 0.8657 0.7500 0.9602  8 F 2.20-2.36
5 F 0.0383 0.7500 0.3670  2 Dy 2.20-2.22
6 F 0.1610 0.5632 0.8480  3 Dy 2.31-2.36, 1 F 2.58
7 F 0.1610 0.9368 0.8480  3 Dy 2.31-2.36, 1 F 2.58
8 F 0.3390 0.0632 0.3480  3 Dy 2.31-2.36, 1 F 2.58
9 F 0.3390 0.4368 0.3480  3 Dy 2.31-2.36, 1 F 2.58
10 F 0.4617 0.2500 0.8670  2 Dy 2.20-2.22
11 F 0.5383 0.7500 0.1330  2 Dy 2.20-2.22
12 F 0.6610 0.5632 0.6520  3 Dy 2.31-2.36, 1 F 2.58
13 F 0.6610 0.9368 0.6520  3 Dy 2.31-2.36, 1 F 2.58
14 F 0.8390 0.0632 0.1520  3 Dy 2.31-2.36, 1 F 2.58
15 F 0.8390 0.4368 0.1520  3 Dy 2.31-2.36, 1 F 2.58
16 F 0.9617 0.2500 0.6330  2 Dy 2.20-2.22

----------

No. 1
Compound: Rb2MgH8C2O10
Source: the Materials Project database
Functional: PBE-GGA
Structure: relaxed

Calculated values
Formation enthalpy at 0 K ... -1.766 eV/atom
Symmetry ... No. 14
Theoretical density ... 2.46 g/cm³

```
46
Lattice="-5.727 -0.035 3.121 -3.375 -1.192 -6.205 -1.521 -11.905 -2.923" Properties=species:S:1:pos:R:3 pbc="T T T"
O -7.955 -8.760 -5.184
O -6.022 -4.192 -3.273
O -7.143 -11.447 -1.900
O -8.955 -11.897 -5.649
O -8.799 -10.157 -3.636
O -4.600 -8.939 -2.734
O -7.794 -2.811 -3.396
O -1.824 -2.974 -2.371
O -2.078 -5.163 -2.857
O -3.479 -1.685 -4.107
O -5.174 -7.643 -5.059
O -1.668 -1.234 -0.357
O -5.448 -5.488 -0.947
O -7.614 -5.941 -4.504
O -4.851 -11.128 -3.221
O -3.008 -7.190 -1.502
O -2.668 -4.372 -0.822
O -8.545 -7.968 -3.149
O -2.829 -10.321 -2.610
O -5.772 -2.004 -2.785
H -7.840 -10.990 -2.449
H -3.616 -7.809 -2.021
H -2.783 -2.142 -3.557
H -6.273 -11.260 -2.370
H -8.235 -12.616 -5.620
H -8.854 -11.281 -4.855
H -2.388 -0.515 -0.386
H -1.769 -1.850 -1.152
H -7.973 -6.666 -3.887
H -5.086 -8.104 -4.178
H -7.007 -5.322 -3.985
H -5.537 -5.028 -1.828
H -4.305 -7.819 -5.536
H -4.349 -1.871 -3.636
H -2.650 -6.465 -2.120
H -6.317 -5.312 -0.470
C -4.086 -10.130 -2.854
C -2.193 -4.170 -2.010
C -6.537 -3.002 -3.152
C -8.430 -8.961 -3.996
Rb -5.809 -10.720 -5.978
Rb -3.879 -4.760 -5.153
Rb -4.814 -2.411 -0.029
Rb -6.744 -8.371 -0.853
Mg 0.000 0.000 0.000
Mg -3.624 -5.970 0.099
```



No. 2
Compound: MgH12C4S4O6
Source: the Materials Project database
Functional: PBE-GGA
Structure: relaxed

Calculated values
Formation enthalpy at 0 K ... -0.932 eV/atom
Symmetry ... No. 15
Theoretical density ... 1.52 g/cm³

```
54
Lattice="0.000 -5.913 0.000 -8.750 2.956 0.000 3.203 0.000 -13.078" Properties=species:S:1:pos:R:3 pbc="T T T"
H -4.060 -0.775 -10.556
H -5.662 0.775 -4.017
H -1.477 -4.974 -3.619
H -7.138 -1.417 -0.759
H 0.115 -3.731 -9.061
H -4.435 1.939 -11.013
H 1.591 -1.540 -12.319
The data records stop here.
Juan Kornblihtt (Conicet / ICI-UNGS/ FFyL-UBA): Ground Rent Appropriation, Extractivism or Natural Capital Depletion? Quantitative evidence from South America following Marx’s critique of political economy
Chair: Meret Jacob-Lakrimdi (Philipps-University of Marburg); Discussant: Rachid Ouaissa (Philipps-University of Marburg)
Venue: Golden Tulip Hotel Reiss, Kassel
Thursday, 13.10.2022, 11-13h
Richard Saunders (York University): Domestic Actors, Resource Nationalism Politics and the Redefining of Extractivism in Southern Africa
Jessie Moritz (Australian National University): Researching Citizen Activism: A Society-Centric Approach to Rents & Development
Rafael Dominguez (University of Cantabria): Rents, Extractivism, and Resource Nationalism in Colombia and Ecuador
Chair: Luíza Cerioli (University of Kassel); Discussant: Camila Ponce Lara (Philipps-University of Marburg)
Venue: Golden Tulip Hotel Reiss, Kassel
Thursday, 13.10.2022, 14-16h
Amir Lebdioui (London School of Economics): The Political Economy of Managing Resource Rents for Economic Diversification: International Experiences
Sambit Bhattacharyya (University of Sussex): Oil Discovery, Boom-Bust Cycle, and Manufacturing Slowdown: Evidence from a Large Industry Level Dataset
Juan Pablo Jimenez (FLACSO Argentina): Tax Regimes and Natural Resource Rents
Chair: Marlen Ott (University of Kassel); Discussant: Hannes Warnecke-Berger (University of Kassel)
Venue: Golden Tulip Hotel Reiss, Kassel
Thursday, 13.10.2022, 16-18h
Mourad Ouchichi (Abderrahmane Mira de Bejaia, Algeria): Rentier Capitalism in Algeria
Sajjad Faraji Dizaji (Tarbiat Modares University, Iran): Oil Rents and Middle Class in Iran and the Maghreb
Moustapha Taleb Heidi (Centre de Recherches de l’Ouest Saharien, Nouakchott): Artisanal Mining and Extractivism in Mauretania
Chair: Camila Ponce Lara (Philipps-University of Marburg); Discussant: Meret Jacob-Lakrimdi (University of Marburg)
Venue: Golden Tulip Hotel Reiss, Kassel
Friday, 14.10.2022, 9-11h
Pedro Alarcón (Justus-Liebig-University Gießen): “Reloaded Extractivism”: Rent, the State, and the Energy Transition in Ecuador
Julieta Godfrid (Autonomous University of Chile): Corporate Social Responsibility and Mining Extractivism in Chile
Jochen Kemner (CALAS): Energy, Fossil Fuels, and Raw Material Regimes in Latin America in the Longue Durée
Chair: Rebeca Ramos (CALAS, University of Kassel); Discussant: Katrin Metzger (University of Kassel)
Venue: Golden Tulip Hotel Reiss, Kassel
Friday, 14.10.2022, 11-13h